High Calorie vs Low Calorie Foods

Many athletes find themselves either needing to gain weight or lose weight to enhance performance, both of which makes paying attention to their nutrition even more important. Rather than focusing on dramatically increasing or decreasing food intake, the athlete should continue to eat the same AMOUNT of food and just choose foods high or low in calories. The following is a brief list of foods to either increase consumption of or decrease consumption of depending on your goal.


High CalorieLow Calorie______

Any SodaDiet Sodas (no nutrition though)

Any Fruit JuiceSports Drinks

Whole MilkSkim Milk

Iced TeaG2 gatorade



High CalorieLow Calorie______

All nuts and seedsFresh Fruit (except raisins)

Trail mix with nuts, seeds, raisinsTrail mix without nuts, seeds, raisins

Whole grain bagels with cream cheeseWhole grain crackers

Regular yogurt (with granola)Low fat/calorie yogurt

Almost all cheeseCottage Cheese



High CalorieLow Calorie______

High fat meatsLow fat lunch meats

Peanut ButterAll vegetables

Chili with meat and cheeseSpaghetti (light on sauces & meats)



High CalorieLow Calorie______

MayonnaiseNon fat miracle whip

Butter and margarineMustard

### Next to the entry, the page also holds calculated crystals
=====
Below is crystalline HfFeAgPb at its relaxed geometry, with properties calculated at the PBE-GGA level.

Cell and atoms, written as CIF:
```
data_HfFeAgPb
_symmetry_space_group_name_H-M 'P 1'
_symmetry_Int_Tables_number 1
_cell_length_a 4.6892
_cell_length_b 4.6892
_cell_length_c 4.6892
_cell_angle_alpha 60.00
_cell_angle_beta 60.00
_cell_angle_gamma 60.00
loop_
_symmetry_equiv_pos_as_xyz
'x,y,z'
loop_
_atom_site_label
_atom_site_fract_x
_atom_site_fract_y
_atom_site_fract_z
Hf1 0.0000 0.0000 0.0000
Fe1 0.5000 0.5000 0.5000
Ag1 0.7500 0.7500 0.7500
Pb1 0.2500 0.2500 0.2500
```

Results
- total energy (eV per cell) = -23.4

---

Below is crystalline Lu8Ni2C3N3 at its relaxed geometry, with properties calculated at the PBE-GGA level.

Cell and atoms, written as CIF:
```
data_Lu8Ni2C3N3
_symmetry_space_group_name_H-M 'P 1'
_symmetry_Int_Tables_number 1
_cell_length_a 3.4138
_cell_length_b 3.4138
_cell_length_c 24.3983
_cell_angle_alpha 90.00
_cell_angle_beta 90.00
_cell_angle_gamma 120.00
loop_
_symmetry_equiv_pos_as_xyz
'x,y,z'
loop_
_atom_site_label
_atom_site_fract_x
_atom_site_fract_y
_atom_site_fract_z
Lu1 0.0000 0.0000 0.1662
Lu2 0.0000 0.0000 0.3280
Lu3 0.0000 0.0000 0.6720
Lu4 0.0000 0.0000 0.8338
Lu5 0.3333 0.6667 0.5592
Lu6 0.3333 0.6667 0.9449
Lu7 0.6667 0.3333 0.0551
Lu8 0.6667 0.3333 0.4408
Ni1 0.3333 0.6667 0.7559
Ni2 0.6667 0.3333 0.2441
C1 0.0000 0.0000 0.5000
C2 0.3333 0.6667 0.3780
C3 0.6667 0.3333 0.6220
N1 0.0000 0.0000 0.0000
N2 0.3333 0.6667 0.1128
N3 0.6667 0.3333 0.8872
```

Results
- total energy (eV per cell) = -112.9

---

Below is crystalline ErCo2Ni at its relaxed geometry, with properties calculated at the PBE-GGA level.

Cell and atoms, written as CIF:
```
data_ErCo2Ni
_symmetry_space_group_name_H-M 'P 1'
_symmetry_Int_Tables_number 1
_cell_length_a 8.6656
_cell_length_b 8.6656
_cell_length_c 8.6656
_cell_angle_alpha 32.67
_cell_angle_beta 32.67
_cell_angle_gamma 32.67
loop_
_symmetry_equiv_pos_as_xyz
'x,y,z'
loop_
_atom_site_label
_atom_site_fract_x
_atom_site_fract_y
_atom_site_fract_z
Er1 0.0000 0.0000 0.0000
Er2 0.1388 0.1388 0.1388
Er3 0.8612 0.8612 0.8612
Co1 0.0805 0.5819 0.5819
Co2 0.4181 0.4181 0.9195
Co3 0.4181 0.9195 0.4181
Co4 0.5819 0.0805 0.5819
Co5 0.5819 0.5819 0.0805
Co6 0.9195 0.4181 0.4181
Ni1 0.3336 0.3336 0.3336
Ni2 0.5000 0.5000 0.5000
Ni3 0.6664 0.6664 0.6664
```

Results
- energy of formation (eV per atom) = -0.277

---

Below is crystalline BaHfAu at its relaxed geometry, with properties calculated at the PBE-GGA level.

Cell and atoms, written as CIF:
```
data_BaHfAu
_symmetry_space_group_name_H-M 'P 1'
_symmetry_Int_Tables_number 1
_cell_length_a 5.1031
_cell_length_b 5.1031
_cell_length_c 5.1031
_cell_angle_alpha 60.00
_cell_angle_beta 60.00
_cell_angle_gamma 60.00
loop_
_symmetry_equiv_pos_as_xyz
'x,y,z'
loop_
_atom_site_label
_atom_site_fract_x
_atom_site_fract_y
_atom_site_fract_z
Ba1 0.0000 0.0000 0.0000
Hf1 0.2500 0.2500 0.2500
Au1 0.7500 0.7500 0.7500
```

Results
=====

Salad dressingSalsa

OilsHot sauce


Tips on gaining weight.

  1. Don’t skip meals
  2. Choose high calories snacks (have them available at all times)
  3. Choose whole milk, cheeses, and yogurt
  4. Take advantage of high calorie snacks (especially nuts, seeds, peanut butter and cheese)
  5. Drink fruit juice often
  6. Add oil, butter, mayonnaise, gravy, regular sour cream, cool whip to foods
  7. Shoot for 4 meals (breakfast, lunch, dinner, post dinner meals)
  8. Add bacon and sausage to breakfast
  9. Add chocolate to milk
  10. Salads (add high fat dressing, bacon, cheese, eggs with yolk, meat, nuts, seeds)
  11. Read foods labels to determine higher calorie foods
  12. Don’t worry about a little extra sugar or fat
  13. Choose high calorie cereals (see cereal list)

Tips on Losing Weight

  1. DON’T SKIP MEALS (especially breakfast)
  2. Plan on 4 smaller meals per day rather than 2 big meals
  3. Choose lower calorie snacks (see above)
  4. Avoid high calorie drinks (soda, iced tea, lemonade, fruit juice)
  5. DON’T allow yourself to ever be very hungry (more smaller meals)
  6. Get the high calorie food out of the house
  7. Eat before going out
  8. Stay hydrate (carry a water bottle around constantly drink)
  9. Choose low calorie cereals (see cereal list)
  10. Have low fat protein with each meal (protein takes longer to digest and so makes you feel full longer)
  11. Avoid high sugary food (high glycemic foods) they get digested quickly and cause you to feel hungry sooner than with high protein foods
  12. Don’t eat when studying, on the computer or watching T.V.
  13. Eat only when sitting relaxed at the table (as much as you can)
  14. Minimize eating out (fast food, restaurants, convenience stores)
  15. Be accountable to a partner (someone who will help you watch what you eat when your guard is down)
  16. Place a post it on the refrigerator, cabinet, or pantry to remind you
  17. Talk to parents about limiting high calorie and junk foods
  18. Stay active (not just exercise, but get out of the house and move)